Kieler Woche is the world’s largest sailing event and the largest annual fest

BaAlFeCuO5: relaxed, PBE+U.

Lattice parameters (Å, degrees): 3.7312 3.7312 8.1485 90.00 90.00 90.00
Space group P4mm (No. 99)
Inequivalent atoms, fractional coordinates:
1 Ba 0.0000 0.0000 0.0000 (multiplicity 1)
2 Al 0.0000 0.0000 0.4473 (multiplicity 1)
3 Fe 0.5000 0.5000 0.6642 (multiplicity 1)
4 Cu 0.5000 0.5000 0.2551 (multiplicity 1)
5 O 0.0000 0.5000 0.2691 (multiplicity 2)
6 O 0.0000 0.5000 0.5741 (multiplicity 2)
7 O 0.5000 0.5000 0.8937 (multiplicity 1)

Computed properties:
DOS(E_F) = 1.19 states/eV per cell
magnetization = 4.84 μB per formula unit
total energy = -6.15 eV/atom

~~~~~

(1)
HgAsS2N | PBE | optimized geometry

Cell: 4.957 4.957 3.648 Å, 90.00 90.00 90.00°
Element x y z (fractional)
Hg (0.000, 0.000, 0.000)
As (0.500, 0.500, 0.500)
S (0.000, 0.500, 0.500)
S (0.500, 0.000, 0.500)
N (0.500, 0.500, 0.000)

Values from the calculation:
- magnetization (μB per cell) = 0.00
- E_form (uncorrected) (eV per atom) = 0.8366
- energy above the most stable polymorph in this dataset (meV per atom) = 0



(2)
BaTmGa2Pt2 | PBE | optimized geometry

Cell: 4.497 4.497 7.986 Å, 90.00 90.00 120.00°
Element x y z (fractional)
Ba (0.000, 0.000, 0.000)
Tm (0.000, 0.000, 0.500)
Ga (0.333, 0.667, 0.696)
Ga (0.667, 0.333, 0.304)
Pt (0.333, 0.667, 0.312)
Pt (0.667, 0.333, 0.688)

Values from the calculation:
- magnetization (μB per cell) = 0.00
- total energy (eV/atom) = -5.05



(3)
Ca2DyP | PBE | optimized geometry

Cell: 10.828 10.828 10.828 Å, 20.97 20.97 20.97°
Element x y z (fractional)
Ca (0.118, 0.118, 0.118)
Ca (0.882, 0.882, 0.882)
Dy (0.000, 0.000, 0.000)
P (0.500, 0.500, 0.500)

Values from the calculation:
- magnetization (μB per cell) = 0.18
- total energy (eV/atom) = -3.81



(4)
GaPd2Au | PBE | optimized geometry

Cell: 5.010 5.010 5.010 Å, 50.50 50.50 50.50°
Element x y z (fractional)
Ga (0.000, 0.000, 0.000)
Pd (0.361, 0.361, 0.361)
Pd (0.583, 0.583, 0.583)
Au (0.801, 0.801, 0.801)

Values from the calculation:
- magnetization (μB per cell) = 0.00
- total energy (eV/atom) = -4.47



(5)
LaGa3Si | PBE | optimized geometry

Cell: 5.636 5.636 5.636 Å, 90.00 90.00 90.00°
Element x y z (fractional)
La (0.000, 0.000, 0.000)
Ga (0.000, 0.000, 0.500)
Ga (0.000, 0.500, 0.000)
Ga (0.500, 0.000, 0.000)
Si (0.500, 0.500, 0.500)

Values from the calculation:
- magnetization (μB per cell) = 0.00
- E_form (uncorrected) (eV per atom) = 1.1177
- energy above the most stable polymorph in this dataset (meV per atom) = 1166



(6)
YCoNi3 | PBE | optimized geometry

Cell: 4.351 4.351 4.351 Å, 90.00 90.00 90.00°
Element x y z (fractional)
Y (0.000, 0.000, 0.000)
Co (0.500, 0.500, 0.500)
Ni (0.000, 0.500, 0.500)
Ni (0.500, 0.000, 0.500)
Ni (0.500, 0.500, 0.000)

Values from the calculation:
- magnetization (μB per cell) = 3.03
- energy above the most stable polymorph in this dataset (meV per atom) = 377



(7)
TbCeTlIr | PBE | optimized geometry

Cell: 3.462 3.462 8.262 Å, 90.00 90.00 90.00°
Element x y z (fractional)
Tb (0.000, 0.000, 0.000)

Germany's Angle

The Jutland Peninsula–which Germany and Denmark share and which separates the North Sea from the Baltic–includes a region that was once the independent kingdom of Angle. This is where the English language originated and the Danish Vikings headquartered. On top of its colorful past, however, Angle has an enjoyable present. There are abundant opportunities for recreation as well as a selection of five-star spa-resorts. And in June of each year you'll find the world's largest gathering of yachtsmen engaged in one of Europe's largest festivals.

The time will come–after the Jagel military airfield has been modified to handle civil traffic–when you'll be able to land your private jet right in the heart of Angle. For now, your best bet is to fly to Hamburg or Lübeck, each about 80 miles south. Another option is to book a flight to the island of Sylt on the peninsula's North Sea coast, itself the home of five-star resorts that are popular with Germany's elite.

### Someone pasted data records at this point
┌──
Entry 1:
# Rb3Na2In4 (PBE, relaxed)
data_Rb3Na2In4
_cell_length_a 5.686
_cell_length_b 7.422
_cell_length_c 10.508
_cell_angle_alpha 69.43
_cell_angle_beta 75.32
_cell_angle_gamma 67.77
_space_group_name_H-M_alt 'P -1'
_space_group_IT_number 2
_space_group_name_Hall '-P 1'
loop_
_atom_site_label
_atom_site_type_symbol
_atom_site_fract_x
_atom_site_fract_y
_atom_site_fract_z
Rb1 Rb 0.000 0.000 0.000
Rb2 Rb 0.386 0.869 0.361
Na1 Na 0.315 0.616 0.757
In1 In 0.091 0.447 0.373
In2 In 0.250 0.411 0.084
# **Formation energy from the elements**: -0.048 eV per atom
# **Crystal system**: triclinic

---

Entry 2:
# Rb3NaIn (PBE, relaxed)
data_Rb3NaIn
_cell_length_a 7.186
_cell_length_b 7.186
_cell_length_c 7.186
_cell_angle_alpha 90.00
_cell_angle_beta 90.00
_cell_angle_gamma 90.00
_space_group_name_H-M_alt 'P m -3 m'
_space_group_IT_number 221
_space_group_name_Hall '-P 4 2 3'
loop_
_atom_site_label
_atom_site_type_symbol
_atom_site_fract_x
_atom_site_fract_y
_atom_site_fract_z
Rb1 Rb 0.000 0.000 0.500
Na1 Na 0.500 0.500 0.500
In1 In 0.000 0.000 0.000
# **Formation energy from the elements**: 0.174 eV per atom
# **ΔE to the lowest computed polymorph**: 0.000 eV per atom
# **Crystal system**: cubic

---

Entry 3:
# RbNaIn (PBE, relaxed)
data_RbNaIn
_cell_length_a 8.881
_cell_length_b 5.095
_cell_length_c 13.181
_cell_angle_alpha 90.00
_cell_angle_beta 102.86
_cell_angle_gamma 90.00
_space_group_name_H-M_alt 'C 1 m 1'
_space_group_IT_number 8
_space_group_name_Hall 'C -2y'
loop_
_atom_site_label
_atom_site_type_symbol
_atom_site_fract_x
_atom_site_fract_y
_atom_site_fract_z
Rb1 Rb 0.000 0.000 0.000
Rb2 Rb 0.225 0.000 0.692
Na1 Na 0.400 0.000 0.215
Na2 Na 0.485 0.000 0.476
In1 In 0.108 0.000 0.346
In2 In 0.276 0.500 0.345
# **Formation energy from the elements**: -0.035 eV per atom
# **ΔE to the lowest computed polymorph**: 0.012 eV per atom
# **Crystal system**: monoclinic

---

Entry 4:
# RbNaIn (PBE, relaxed)
data_RbNaIn
_cell_length_a 5.747
_cell_length_b 13.918
_cell_length_c 6.252
_cell_angle_alpha 90.00
_cell_angle_beta 90.00
_cell_angle_gamma 90.00
_space_group_name_H-M_alt 'C m c m'
_space_group_IT_number 63
_space_group_name_Hall '-C 2c 2'
loop_
_atom_site_label
_atom_site_type_symbol
_atom_site_fract_x
_atom_site_fract_y
_atom_site_fract_z
Rb1 Rb 0.000 0.227 0.250
Na1 Na 0.000 0.500 0.000
In1 In 0.000 0.046 0.750
# **Formation energy from the elements**: -0.026 eV per atom
# **ΔE to the lowest computed polymorph**: 0.021 eV per atom
# **Crystal system**: orthorhombic

---

Entry 5:
# RbNaIn (PBE, relaxed)
data_RbNaIn
_cell_length_a 6.512
_cell_length_b 5.202
_cell_length_c 8.021
_cell_angle_alpha 90.00
_cell_angle_beta 92.07
_cell_angle_gamma 90.00
_space_group_name_H-M_alt 'P 1 21/m 1'
_space_group_IT_number 11
_space_group_name_Hall '-P 2yb'
loop_
_atom_site_label
_atom_site_type_symbol
_atom_site_fract_x
_atom_site_fract_y
_atom_site_fract_z
Rb1 Rb 0.227 0.250 0.370
Na1 Na 0.375 0.250 0.887
In1 In 0.115 0.750 0.029
└──

We arrived in Angeln (as the area encompassing the former kingdom is known in German) in late morning. After looking through the replica village of Hedeby, the largest and most important trading city in the Viking era, we visited its on-site museum and a larger museum across the bay in Schleswig. Both are indeed interesting. But even for those of us who relish this sort of thing, curiosity is fairly well sated after a few hours of rune stones, burial relics and bog bodies.

At lunchtime we opted for a place nearby the Hedeby historical site, the Altes Fährhaus (Old Ferry House) in Fahrdorf. Its specialty, naturally, is seafood. The location offers excellent views across the Schlei [an inlet of the­Baltic Sea] and both indoor and terrace dining. While the variety of seafood on the menu might not impress someone from the coastal regions of the U.S., especially with regard to shellfish, there's definitely more here than you'll find in inland Germany. Our choice was a mixed-seafood plate, and the freshness and preparation were excellent. Aside from some small shrimp, the Baltic catch includes cod, turbot, flounder and other whitefish.

There are lots of ongoing archeological digs in the area around Hedeby, including those along the Danewirk portage route from Hedeby to Hollingstedt. Desiring to stretch our legs a bit, we walked along that ancient rampart, following steps the Vikings took a dozen centuries ago. Archeology aside, it's an enjoyable hike through bucolic countryside (although a serious hiker might call it more of a stroll). The path leads eventually to the place where the Vikings boarded longboats for trips downriver to the North Sea. Along the way there's a noticeable change in landscape, the gently rolling terrain of Angle giving way to the flat marshy lowlands of North Friesland.

With the kinks of a long air trip well walked out, we opted for a tour of the region by car. The root word of "Angle" and "English" is said to be eng, meaning "narrow" and probably referring to the long Schlei inlet that runs from the city of Schleswig out to the Baltic. Driving east along the shores of the Schlei, we passed through coastal villages in the traditional homeland of the Angles. The Schilf reeds that grow abundantly around the shores of the Schlei are used in making thatched roofs, which are to be seen more in this area than in other parts of Germany, giving the place a storybook ambiance.

As you might expect from an area surrounded by ­water, sailing on the Schlei and the Baltic is a popular local pastime. Bare-boat and crewed charters are widely available, including larger craft capable of cruising comfortably and dining sumptuously. Some classic tall ships based in the harbor at Eckernfoerde are offered for charter with talented chefs and comfortable accommodations.

One fine example is the Dutch-flagged Pedro Doncker, a 112-foot triple-masted barquentine with a steel hull and superstructure and a wood deck. Owned and operated by Amsterdam-based Reederij Vlaun/V&S Charters, she travels to ports on the German, Danish and Swedish coasts. Nine countries have frontage on the Baltic, making for a fascinating mix of cultural possibilities, if you have time for extended cruising. The yachts sail by some superb Baltic scenery ­including the white chalk cliffs of the island of Rügen.

Nearby to Angle, the port city of Kiel hosts the annual Kieler Woche, the world's largest sailing event, with 5,000 yachting enthusiasts from 50 countries in 2,000 vessels participating in 40 events. In fact, Kieler Woche is the largest annual festival of any kind in Germany, drawing even more people than Munich's Oktoberfest. There are multiple stages for folk singers and dancers; rock, pop and classical musical performances; plus clowns, acrobats, jugglers and magicians. It all takes place over nine days from a Saturday to a Sunday in mid-June. For 2012, the start date is June 16. If you wish to participate in Kieler Woche sea events on a chartered yacht, you'd be wise to book early.

Angle and the surrounding area are rich in five-star seaside spa-hotels. The traditional northern boundary of Angle is the Flensburg Fjord, and a couple of the better lodging options are there. Flensburg is about an hour's drive northwest of Kiel (although it is closer than that to Hedeby). An hour's drive in the opposite direction from Kiel brings you to Timmendorfer Strand, location of several five-star resorts and a favorite destination of Germany's political, social and industrial elite.

Angle is a place that would hold some historical fascination for any English speaker. Even without that aspect, it's a great place to get away from it all–relaxing in a thatched-roof, storybook cottage or sailing on a classic tall ship in the Baltic. For those who prefer to be in the middle of activity, consider planning your visit for mid-June to coincide with Kieler Woche.

History Lesson

The Angles were a tough bunch of fighters. In the fifth century, this tribe, known as Angeln in German, migrated en masse to Britain along with some of their Saxon neighbors. The Anglo-Saxons, as they came to be called, had been invited by a warlord (probably Vortigern) to help defend the region that eventually came to be named after them: England.

Their mass exodus left a vacuum that Danes eventually filled. Unlike the Angles, the Danish Vikings prized Angle's location primarily for its strategic nautical value. From their market town of Hedeby, largest of all Viking settlements, they had only to sail their longboats eastward out the length of the Schlei inlet to the Baltic or, after a relatively short portage, westward down the river Treene to the North Sea.

During the Viking Age, the Danes conquered and occupied a huge swath of eastern Britain. What made this territory, the Danelaw, unique was that it was governed by and named for a set of laws rather than the decrees of a particular ruler. This is thought to be the origin of the concept of "a nation of laws" and the laws themselves evolved into the basics of British and American law.

[Inserted here: records of crystals]
********
Record 1
Below is a relaxed structure of AcMgCd3, with properties calculated at the PBE level.

Summary:
DFT formation energy in kJ/mol of atoms: -19.1
Size of the total moment in μB per atom: 0.000

a b c (Å): 6.2160 7.1507 7.1503
angles (deg): 120.00 90.00 90.00
Fractional positions:
Ac: 0.7499 0.6667 0.3334
Ac: 0.2501 0.3333 0.6666
Mg: 0.0000 0.0000 0.0000
Mg: 0.5000 0.0000 0.0000
Cd: 0.7500 0.6098 0.8049
Cd: 0.2500 0.8049 0.6098
Cd: 0.2500 0.3902 0.1951
Cd: 0.7500 0.1951 0.3902
Cd: 0.2500 0.8049 0.1951
Cd: 0.7500 0.1951 0.8049

Record 2
Below is a relaxed structure of Ac4Mg3Cd2, with properties calculated at the PBE level.

Summary:
DFT formation energy in kJ/mol of atoms: -12.8
Size of the total moment in μB per atom: 0.000

a b c (Å): 5.6702 5.6689 10.8272
angles (deg): 90.02 90.00 59.99
Fractional positions:
Ac: 0.6667 0.6665 0.8855
Ac: 0.9999 0.0001 0.3292
Ac: 0.0001 0.9999 0.6708
Ac: 0.3333 0.3335 0.1145
Mg: 0.3333 0.3333 0.5011
Mg: 0.0000 0.0000 0.0000
Mg: 0.6667 0.6667 0.4989
Cd: 0.3334 0.3333 0.7956
Cd: 0.6666 0.6667 0.2044

Record 3
Below is a relaxed structure of Ac12MgCd6, with properties calculated at the PBE level.

Summary:
DFT formation energy in kJ/mol of atoms: -5.1
Size of the total moment in μB per atom: 0.000

a b c (Å): 9.8797 9.8797 9.8797
angles (deg): 110.76 110.76 110.76
Fractional positions:
Ac: 0.8078 0.6593 0.5226
Ac: 0.5226 0.8078 0.6593
Ac: 0.6593 0.5226 0.8078
Ac: 0.1922 0.3407 0.4774
Ac: 0.4774 0.1922 0.3407
Ac: 0.3407 0.4774 0.1922
Ac: 0.9218 0.8314 0.2755
Ac: 0.1686 0.7245 0.0782
Ac: 0.7245 0.0782 0.1686
Ac: 0.0782 0.1686 0.7245
Ac: 0.8314 0.2755 0.9218
Ac: 0.2755 0.9218 0.8314
Mg: 0.0000 0.0000 0.0000
Cd: 0.6395 0.9247 0.4096
Cd: 0.5904 0.3605 0.0753
Cd: 0.0753 0.5904 0.3605
Cd: 0.3605 0.0753 0.5904
Cd: 0.4096 0.6395 0.9247
Cd: 0.9247 0.4096 0.6395

Record 4
Below is a relaxed structure of Ac3Mg3Cd2, with properties calculated at the PBE level.

Summary:
DFT formation energy in kJ/mol of atoms: -13.3
Size of the total moment in μB per atom: 0.000

a b c (Å): 6.2932 9.4558 17.3166
angles (deg): 90.00 90.00 90.00
Fractional positions:
Ac: 0.1165 0.4528 0.3881
Ac: 0.6165 0.0472 0.6119
Ac: 0.8835 0.5472 0.8881
Ac: 0.3835 0.9528 0.1119
Ac: 0.8835 0.5472 0.6119
Ac: 0.3835 0.9528 0.3881
Ac: 0.1165 0.4528 0.1119
Ac: 0.6165 0.0472 0.8881
Ac: 0.6100 0.3185 0.2500
Ac: 0.1100 0.1815 0.7500
Ac: 0.3900 0.6815 0.7500
Ac: 0.8900 0.8185 0.2500
Mg: 0.1082 0.1652 0.2500
Mg: 0.6082 0.3348 0.7500
Mg: 0.8918 0.8348 0.7500
Mg: 0.3918 0.6652 0.2500
Mg: 0.6084 0.3144 0.4656
Mg: 0.1084 0.1856 0.5344
Mg: 0.3916 0.6856 0.9656
Mg: 0.8916 0.8144 0.0344
Mg: 0.3916 0.6856 0.5344
Mg: 0.8916 0.8144 0.4656
Mg: 0.6084 0.3144 0.0344
Mg: 0.1084 0.1856 0.9656
Cd: 0.8763 0.1024 0.3933
Cd: 0.3763 0.3976 0.6067
Cd: 0.1237 0.8976 0.8933
Cd: 0.6237 0.6024 0.1067
Cd: 0.1237 0.8976 0.6067
Cd: 0.6237 0.6024 0.3933
Cd: 0.8763 0.1024 0.1067
Cd: 0.3763 0.3976 0.8933

Record 5
********

Considering the Angles and later the Danes, it is fair to say that the ancient inhabitants of this little patch of land contributed almost as much to our language, laws and culture as the peoples of Athens, Rome and Jerusalem.

Traveler Fast Facts

WHAT IT IS: A small peninsula in northern Germany that was originally the Kingdom of Angle. On the east it has beaches on the Bay of Kiel in the Baltic Sea.

AMBIANCE: Quaint fishing villages with thatch-roofed cottages dot the landscape and there is everywhere a strong awareness of the sea. To own a sailboat is as common as having a second car. Traditional tall ships and other large sailing yachts dominate the bays.

WHERE TO STAY: In Flensburg, the Alter Meierhof Vitalhotel (Uferstrasse 1, 24960 Glücksburg; +49 4631 6199-0; offers rooms and suites in the $900-per-night range and features sailing, golf, fitness facilities and health and beauty treatments. Nearby is the Strandhotel Glücksburg (Kirstenstrasse 6, 24960 Glücksburg; +49 (0) 4631 6141 0; Housed in an elegant example of classic architecture beside a beach, it boasts spa facilities; spacious rooms and suites; and a restaurant that has been a favorite of gourmets for decades. In Timmendorfer Strand, consider Grand Hotel Seeschlösschen Spa and Golf Resort (Strandallee 141, 23669 Timmendorfer Strand; +49 (0)4503/601-334;, where you'll find four restaurants and a sea-facing penthouse suite runs around $1,000 a night.

SAILING: Reederij Vlaun/V&S Charters ( offers crewed tall ship cruises in the $8,000-to-$14,000-per-week range for full charter with individual accommodations in the $1,500-per-week range. Happy Charter ( is a portal site for bareboat and crewed yachts with links to partner sites. Rentabo ( provides an intermediary with online booking of bareboat and crewed yachts. Private Charter Ostsee ( offers bareboat charters only. Note that you'll need a sailing license to contract a bareboat charter. A license from your home country is OK, but an International Certificate of Competence is recommended.

Traveler Report Card

You'll likely want to raise this grade to an A if you stay at one of the five-star resorts on the shore of the Flensburger Foerde or at Timmendorfer Strand. Also interesting are four-star hotels in Eckernfoerde, Maasholm and Kiel, located on the waterfront with access to charter yachts and beaches. If you're willing to forgo a couple of stars in favor of charm and solitude, consider the thatch-roofed inns and vacation houses in some of the more remote locations that look as if they came right out of fairy tales.

FOOD (A-):
That grade is for those who have a palate for seafood; otherwise a solid B applies. Note that Germans aren't big consumers of shellfish, so you shouldn't expect lobster and such, although you'll find local fresh
shrimp on some menus.

If you're interested in yachting, golf, windsurfing, tennis, swimming or Nordic walking, you won't be disappointed here. Yachting can mean anything from sport sailing to luxury cruising. Across on the western side of the Jutland peninsula, the resort island of Sylt offers five-star resort hotels and beaches on the North Sea with swimming and surfing (albeit on waves a Hawaiian might consider mere ripples).

Except for the cities of Flensburg, Schleswig and Eckernfoerde, this is an exceptionally quiet region. And even those cities are quite laid back when you compare them with Hamburg, Berlin or Munich. Around the Baltic shore are numerous sandy beaches. Some will be lightly populated; others, though easily accessible by car, will be virtually empty. Depending on your choice of lodging, it's possible to get away from it all quite successfully in this region.